Source:
<<<
# 1
# C13H15FN6O2Zn

A molecular structure, C13H15FN6O2Zn in a non-equilibrium geometry (ωB97M-V/def2-TZVPD, the Open Molecules 2025 dataset).

```
38
C13H15FN6O2Zn (ωB97M-V/def2-TZVPD)
C 3.534 -2.498 -0.180
C 2.587 -1.646 -1.263
N 3.006 -0.162 -1.324
C 2.373 0.464 -0.064
C 3.274 0.754 1.274
N 4.748 0.417 1.322
C 2.511 1.395 2.593
C 0.876 1.712 2.525
F 0.264 2.272 3.786
C -0.050 1.400 1.168
N -1.518 1.701 1.286
C -2.165 1.327 -0.017
C -3.823 1.529 -0.100
C -4.469 0.091 0.376
C -4.399 -1.323 -0.451
N -5.141 0.051 1.604
C -1.443 0.748 -1.356
O -2.225 0.462 -2.594
N -2.049 1.448 -3.499
O -2.235 2.555 -3.002
N 0.034 0.477 -1.407
C 0.738 0.784 -0.116
H 3.247 -2.102 0.904
H 3.257 -3.635 -0.194
H 4.658 -2.259 -0.400
H 1.484 -1.792 -0.888
H 2.626 -2.118 -2.352
H 2.609 0.295 -2.178
H 5.033 -0.120 0.474
H 5.315 1.282 1.466
H 3.142 1.590 3.569
H -4.182 1.893 -1.159
H -4.092 2.308 0.750
H -3.935 -2.215 0.188
H -3.796 -1.285 -1.453
H -5.497 -1.678 -0.742
H -5.500 -0.942 1.711
Zn 1.200 -3.181 -0.260
```

The value obtained for the strongest force on any atom is 0.152 Eh/bohr. Its net charge is +2. As for the multiplicity: 1. The value obtained for the total energy is -77855.9784 eV.

***

# 2
# F4NP

F4NP in the gas phase in a non-equilibrium geometry (ωB97M-V/def2-TZVPD, the Open Molecules 2025 dataset).

```
6
F4NP (ωB97M-V/def2-TZVPD)
N 0.637 -0.064 -0.184
F 1.192 1.184 -0.491
F 1.441 -0.448 0.855
F -1.219 -1.297 0.265
F -1.729 0.535 -0.795
P -1.026 0.171 0.580
```

The SMILES is FN(F)P(F)F. The value obtained for the strongest force on any atom is 0.068 Eh/bohr. Its net charge is 0. The energy above the lowest of the compared OMol25 structures with the same formula, charge and spin comes out at 2.0576 eV. As for the multiplicity: 1. The value obtained for the total energy is -21646.4959 eV.

***

# 3
# C3H7N4

A gas-phase ion, C3H7N4 (charge +1) in a non-equilibrium geometry (ωB97M-V/def2-TZVPD, the Open Molecules 2025 dataset).

```
14
C3H7N4 (ωB97M-V/def2-TZVPD)
C -0.215 0.559 1.410
C -0.339 0.484 -0.731
C 0.975 -1.471 0.537
N -0.812 1.616 -0.427
N -0.772 1.696 0.849
N 0.165 -0.222 0.369
N -0.095 -0.039 -2.317
H 0.025 0.489 2.458
H 1.417 -1.373 1.576
H 0.335 -2.402 0.338
H 1.748 -1.596 -0.262
H -1.319 2.293 1.366
H -0.410 0.722 -2.915
H -0.703 -0.755 -2.252
```

The SMILES is C[n+]1c[nH]nc1N. The value obtained for the strongest force on any atom is 0.141 Eh/bohr. Its net charge is +1. The energy above the lowest of the compared OMol25 structures with the same formula, charge and spin comes out at 2.2632 eV. As for the multiplicity: 1. The value obtained for the total energy is -9176.2532 eV.

***

# 4
# C29H21F3N5O3Tl

A molecular structure, C29H21F3N5O3Tl (ωB97M-V/def2-TZVPD, the Open Molecules 2025 dataset).

```
62
C29H21F3N5O3Tl (ωB97M-V/def2-TZVPD)
Tl -0.030 -0.931 0.661
C -0.295 3.137 2.925
C 0.041 1.769 2.426
N -0.616 1.166 1.510
N -1.630 1.778 0.866
C -2.323 0.925 0.119
O -2.191 -0.330 0.097
C -3.316 1.541 -0.810
C -4.037 0.706 -1.660
C -4.897 1.246 -2.603
C -5.044 2.623 -2.701
C -4.332 3.458 -1.849
C -3.471 2.920 -0.905
C 1.204 1.034 2.984
C 1.921 1.532 4.066
C 3.009 0.821 4.544
C 3.367 -0.364 3.925
C 2.606 -0.796 2.852
N 1.553 -0.123 2.401
H -1.072 3.566 2.301
H -0.657 3.089 3.955
H 0.585 3.782 2.909
H -3.897 -0.363 -1.578
H -5.450 0.592 -3.266
H -5.711 3.048 -3.440
H -4.445 4.532 -1.924
H -2.901 3.561 -0.248
H 1.625 2.461 4.530
H 3.572 1.191 5.391
H 4.213 -0.948 4.257
H 2.843 -1.712 2.325
O -1.076 -2.271 2.083
N -0.369 -3.103 2.750
N 0.753 -3.395 2.225
O 1.171 -2.911 1.089
C 1.622 -4.288 2.946
C 1.385 -4.573 4.284
C 2.247 -5.436 4.940
C 3.331 -5.994 4.273
C 3.553 -5.689 2.938
C 2.697 -4.831 2.263
H 0.544 -4.127 4.792
H 2.076 -5.670 5.982
H 4.002 -6.664 4.794
H 4.395 -6.124 2.417
H 2.842 -4.579 1.224
F -0.393 4.066 -7.180
C -0.318 2.732 -7.359
F -1.483 2.360 -7.926
F 0.648 2.513 -8.266
C -0.075 2.008 -6.067
C -1.050 2.082 -5.078
C -0.862 1.428 -3.876
C 0.308 0.694 -3.651
C 1.278 0.630 -4.648
C 1.087 1.285 -5.854
>>>

Assignment:
Search the contents further up for the word "strongest" and repeat each line that has it.

Response:
The value obtained for the strongest force on any atom is 0.152 Eh/bohr. Its net charge is +2. As for the multiplicity: 1. The value obtained for the total energy is -77855.9784 eV.
The SMILES is FN(F)P(F)F. The value obtained for the strongest force on any atom is 0.068 Eh/bohr. Its net charge is 0. The energy above the lowest of the compared OMol25 structures with the same formula, charge and spin comes out at 2.0576 eV. As for the multiplicity: 1. The value obtained for the total energy is -21646.4959 eV.
The SMILES is C[n+]1c[nH]nc1N. The value obtained for the strongest force on any atom is 0.141 Eh/bohr. Its net charge is +1. The energy above the lowest of the compared OMol25 structures with the same formula, charge and spin comes out at 2.2632 eV. As for the multiplicity: 1. The value obtained for the total energy is -9176.2532 eV.